........
(1)
Computed, not measured: C4H6O2 as an isolated structure, with ωB97M-V/def2-TZVPD.

Properties
gap between HOMO and LUMO (alpha / beta): 8.77 / 8.77 eV
energy above the lowest of the compared OMol25 structures with the same formula, charge and spin: 2.8943 eV
DFT total energy: -306.3999 a.u.
E_LUMO (alpha / beta): 0.04 / 0.04 eV
net charge: 0

Cartesian coordinates (Å):
O 1.150 -0.994 0.976
C 0.462 -0.989 -0.122
C -0.977 -0.680 -0.079
C -0.491 0.765 0.227
O -0.278 1.025 1.444
C 0.106 1.323 -0.891
H 0.675 -0.308 1.586
H 0.990 -1.308 -1.017
H -1.516 -1.109 0.766
H -1.481 -0.821 -1.033
H -0.191 1.014 -1.888
H 0.678 2.242 -0.797



(2)
Computed, not measured: the molecule C4H6O2, with ωB97M-V/def2-TZVPD.

Properties
gap between HOMO and LUMO: 10.07 eV
energy above the lowest of the compared OMol25 structures with the same formula, charge and spin: 3.4073 eV
DFT total energy: -306.3811 a.u.
E_LUMO: 0.92 eV
net charge: 0

Cartesian coordinates (Å):
O -1.640 -1.198 0.010
C -0.697 -0.123 -0.068
O -1.365 1.122 -0.209
C 0.773 -0.240 -1.201
C 1.520 -0.084 -0.109
C 0.468 -0.040 0.997
H -2.459 -0.879 -0.342
H -0.788 1.844 -0.279
H 0.894 -0.437 -2.199
H 2.514 0.084 0.219
H 0.395 -0.860 1.572
H 0.386 0.810 1.608



(3)
Computed, not measured: the molecule C4H6O2, with ωB97M-V/def2-TZVPD.

Properties
gap between HOMO and LUMO: 10.70 eV
energy above the lowest of the compared OMol25 structures with the same formula, charge and spin: 1.6355 eV
DFT total energy: -306.4462 a.u.
E_LUMO: 0.98 eV
net charge: 0

Cartesian coordinates (Å):
O -1.287 1.587 -0.443
C -0.983 0.614 -1.104
C 0.127 -0.297 -0.755
C 1.136 0.211 0.258
C 0.155 -0.800 0.697
O -0.847 -0.481 1.592
H -1.568 0.342 -2.005
H 0.449 -0.992 -1.524
H 0.946 1.237 0.571
H 2.181 -0.057 0.150
H 0.472 -1.833 0.815
H -0.782 0.468 1.749



(4)
Computed, not measured: the molecule C4H6O2, with ωB97M-V/def2-TZVPD.

Properties
gap between HOMO and LUMO (alpha / beta): 8.31 / 7.95 eV
energy above the lowest of the compared OMol25 structures with the same formula, charge and spin: 4.5629 eV
DFT total energy: -306.3386 a.u.
E_LUMO (alpha / beta): -1.61 / -1.78 eV
net charge: 0

Cartesian coordinates (Å):
C -1.614 0.472 0.410
C -0.502 -0.304 -0.275
O -0.232 -0.128 -1.542
C 0.841 -0.475 0.312
C 1.962 0.173 -0.383
O 3.121 -0.100 -0.159
H -1.736 0.172 1.457
H -1.376 1.539 0.368
H -2.551 0.303 -0.127
H -0.633 -1.436 -0.091
H 1.073 -1.215 1.078
H 1.647 0.999 -1.047



(5)
Computed, not measured: the molecule C4H6O2, with ωB97M-V/def2-TZVPD.

Properties
gap between HOMO and LUMO: 11.03 eV
energy above the lowest of the compared OMol25 structures with the same formula, charge and spin: 1.9536 eV
DFT total energy: -306.4345 a.u.
E_LUMO: 0.97 eV
net charge: 0

Cartesian coordinates (Å):
O -1.454 -1.717 -0.044
C -1.623 -0.672 0.540
C -0.593 0.430 0.589
C 0.770 -0.080 0.186
C 1.295 0.126 -1.158
O 1.751 0.915 -0.067
H -2.570 -0.475 1.084
H -0.584 0.884 1.591
H -0.912 1.228 -0.098
H 1.130 -0.948 0.738
H 2.021 -0.576 -1.565
H 0.689 0.650 -1.894



(6)
Computed, not measured: the molecule C4H6O2, with ωB97M-V/def2-TZVPD.

Properties
gap between HOMO and LUMO: 10.86 eV
energy above the lowest of the compared OMol25 structures with the same formula, charge and spin: 1.6324 eV
DFT total energy: -306.4463 a.u.
E_LUMO: 0.76 eV
net charge: 0

Cartesian coordinates (Å):
C -0.897 -1.306 0.611
C -0.686 -0.019 0.866
C 0.027 0.893 -0.128
O -0.623 0.966 -1.366
C 1.429 0.336 -0.313
O 1.712 -0.327 -1.284
H -1.452 -1.944 1.292
H -0.538 -1.770 -0.308
H -1.050 0.426 1.790
H 0.096 1.905 0.289
H -0.186 0.310 -1.934
H 2.168 0.530 0.485



(7)
Computed, not measured: the molecule C4H6O2, with ωB97M-V/def2-TZVPD.

Properties
gap between HOMO and LUMO: 10.39 eV
energy above the lowest of the compared OMol25 structures with the same formula, charge and spin: 1.0469 eV
DFT total energy: -306.4678 a.u.
E_LUMO: 0.28 eV
net charge: 0

Cartesian coordinates (Å):
C -1.248 -0.293 -0.457
C 0.257 -0.106 -0.312
C 0.613 1.352 -0.054
........

Next, print the whole of the lines earlier on without additions.

(1)
Computed, not measured: C4H6O2 as an isolated structure, with ωB97M-V/def2-TZVPD.

Properties
gap between HOMO and LUMO (alpha / beta): 8.77 / 8.77 eV
energy above the lowest of the compared OMol25 structures with the same formula, charge and spin: 2.8943 eV
DFT total energy: -306.3999 a.u.
E_LUMO (alpha / beta): 0.04 / 0.04 eV
net charge: 0

Cartesian coordinates (Å):
O 1.150 -0.994 0.976
C 0.462 -0.989 -0.122
C -0.977 -0.680 -0.079
C -0.491 0.765 0.227
O -0.278 1.025 1.444
C 0.106 1.323 -0.891
H 0.675 -0.308 1.586
H 0.990 -1.308 -1.017
H -1.516 -1.109 0.766
H -1.481 -0.821 -1.033
H -0.191 1.014 -1.888
H 0.678 2.242 -0.797



(2)
Computed, not measured: the molecule C4H6O2, with ωB97M-V/def2-TZVPD.

Properties
gap between HOMO and LUMO: 10.07 eV
energy above the lowest of the compared OMol25 structures with the same formula, charge and spin: 3.4073 eV
DFT total energy: -306.3811 a.u.
E_LUMO: 0.92 eV
net charge: 0

Cartesian coordinates (Å):
O -1.640 -1.198 0.010
C -0.697 -0.123 -0.068
O -1.365 1.122 -0.209
C 0.773 -0.240 -1.201
C 1.520 -0.084 -0.109
C 0.468 -0.040 0.997
H -2.459 -0.879 -0.342
H -0.788 1.844 -0.279
H 0.894 -0.437 -2.199
H 2.514 0.084 0.219
H 0.395 -0.860 1.572
H 0.386 0.810 1.608



(3)
Computed, not measured: the molecule C4H6O2, with ωB97M-V/def2-TZVPD.

Properties
gap between HOMO and LUMO: 10.70 eV
energy above the lowest of the compared OMol25 structures with the same formula, charge and spin: 1.6355 eV
DFT total energy: -306.4462 a.u.
E_LUMO: 0.98 eV
net charge: 0

Cartesian coordinates (Å):
O -1.287 1.587 -0.443
C -0.983 0.614 -1.104
C 0.127 -0.297 -0.755
C 1.136 0.211 0.258
C 0.155 -0.800 0.697
O -0.847 -0.481 1.592
H -1.568 0.342 -2.005
H 0.449 -0.992 -1.524
H 0.946 1.237 0.571
H 2.181 -0.057 0.150
H 0.472 -1.833 0.815
H -0.782 0.468 1.749



(4)
Computed, not measured: the molecule C4H6O2, with ωB97M-V/def2-TZVPD.

Properties
gap between HOMO and LUMO (alpha / beta): 8.31 / 7.95 eV
energy above the lowest of the compared OMol25 structures with the same formula, charge and spin: 4.5629 eV
DFT total energy: -306.3386 a.u.
E_LUMO (alpha / beta): -1.61 / -1.78 eV
net charge: 0

Cartesian coordinates (Å):
C -1.614 0.472 0.410
C -0.502 -0.304 -0.275
O -0.232 -0.128 -1.542
C 0.841 -0.475 0.312
C 1.962 0.173 -0.383
O 3.121 -0.100 -0.159
H -1.736 0.172 1.457
H -1.376 1.539 0.368
H -2.551 0.303 -0.127
H -0.633 -1.436 -0.091
H 1.073 -1.215 1.078
H 1.647 0.999 -1.047



(5)
Computed, not measured: the molecule C4H6O2, with ωB97M-V/def2-TZVPD.

Properties
gap between HOMO and LUMO: 11.03 eV
energy above the lowest of the compared OMol25 structures with the same formula, charge and spin: 1.9536 eV
DFT total energy: -306.4345 a.u.
E_LUMO: 0.97 eV
net charge: 0

Cartesian coordinates (Å):
O -1.454 -1.717 -0.044
C -1.623 -0.672 0.540
C -0.593 0.430 0.589
C 0.770 -0.080 0.186
C 1.295 0.126 -1.158
O 1.751 0.915 -0.067
H -2.570 -0.475 1.084
H -0.584 0.884 1.591
H -0.912 1.228 -0.098
H 1.130 -0.948 0.738
H 2.021 -0.576 -1.565
H 0.689 0.650 -1.894



(6)
Computed, not measured: the molecule C4H6O2, with ωB97M-V/def2-TZVPD.

Properties
gap between HOMO and LUMO: 10.86 eV
energy above the lowest of the compared OMol25 structures with the same formula, charge and spin: 1.6324 eV
DFT total energy: -306.4463 a.u.
E_LUMO: 0.76 eV
net charge: 0

Cartesian coordinates (Å):
C -0.897 -1.306 0.611
C -0.686 -0.019 0.866
C 0.027 0.893 -0.128
O -0.623 0.966 -1.366
C 1.429 0.336 -0.313
O 1.712 -0.327 -1.284
H -1.452 -1.944 1.292
H -0.538 -1.770 -0.308
H -1.050 0.426 1.790
H 0.096 1.905 0.289
H -0.186 0.310 -1.934
H 2.168 0.530 0.485



(7)
Computed, not measured: the molecule C4H6O2, with ωB97M-V/def2-TZVPD.

Properties
gap between HOMO and LUMO: 10.39 eV
energy above the lowest of the compared OMol25 structures with the same formula, charge and spin: 1.0469 eV
DFT total energy: -306.4678 a.u.
E_LUMO: 0.28 eV
net charge: 0

Cartesian coordinates (Å):
C -1.248 -0.293 -0.457
C 0.257 -0.106 -0.312
C 0.613 1.352 -0.054